curvature of the spine


Hi Christine

I have had polio as a child and I have a pronounced curve in my spine and also my right foot sticks out to 45 degree angle. How do I do the WW posture correctly? I also have one shoulder much more higher than the other due to the spine problem.

Any suggestions would be greatly appreciated.



Hello C.W. and welcome!

As you can imagine, this changes things considerably. The postural work is built around the natural shape of the female spine, and great variations from that will always be another sort of challenge. I think it will be important for you to learn about the true positioning of your organs so you can visualize what should be where. Over time, perhaps you will be able to develop the best posture/exercise possible for your own condition.

Most importantly, the organs are located at the front of the body and the pelvic outlet at the back. Gynecology has this simple reality rotated 90 degrees so that in their conceptual framework the organs are perched above a soft-tissue pelvic “floor” with a hole in the middle.

I received an email a couple of days ago from an ecstatic woman who sensed she had immediately stabilized her uterine prolapse with her first moment of WW posture. I chuckled because on the one hand, she is right. As soon as all of us relax our lower belly and push our organs forward with our posture every case of prolapse is instantly stabilized. How can the organs fall back when they are being held to the front? However, pelvic fascia has to help secure them there as we move about, and this highly evolved substance is very difficult to re-model. That is the work all of us are doing with firebreathing, nauli, posture, exercise and nutrition.

There are other aids as well - pessaries, tampons, and sea sponges. You might even find slightly moistened organic cotton balls helpful.

If the surgeries had anything positive to recommend them I would certainly do so. They are all highly faulty because they alter the one thing that is most important to pelvic organ support - the shape and axis of the vagina.

Wishing you well!


Please can you tell me what are sea sponges and how are they used? You mentioned organic cotton balls. You must have to use 100 of them, if they are the size that I've seen in removing cosmestics, obiously they must be bigger LOL. I had a pessary and the darn thing kept popping it out. Also when I sat, I could feel it and it was extremely uncomfortable. Being that I live in Canada, I don't know if I could find any of these suggestions that you've made. One thing I do is sit on a large exercise ball when I'm on the computer and I find that very comfortable to sit, rather than an chair.

-- What comes next are data records, not part of the entry --
+++
Y2PuScSe4, optimized geometry, DFT PBE-GGA; energy relative to the elements, uncorrected = -1.67 eV per atom; theoretical density = 6.9 g/cm3
1.0
-1.346 -2.027 3.219
6.309 -2.995 0.752
-0.171 5.972 3.690
Y Pu Sc Se
2 1 1 4
direct
0.500 0.000 0.500
0.000 0.500 0.500
0.500 0.500 0.000
0.000 0.000 0.000
0.500 0.239 0.241
0.500 0.761 0.759
0.000 0.242 0.753
0.000 0.758 0.247

----------

Record 1
First-principles (SCAN) data for Sc4ZnHg at its PBEsol-relaxed geometry, as listed in Alexandria.

Unit cell a=8.001 b=8.001 c=8.001 alpha=90.00 beta=90.00 gamma=90.00
Space group F-43m (No. 216)
One atom of each set of equivalent atoms:
Sc  0.125  0.125  0.125 [16 per cell]
Zn  0.000  0.000  0.500 [4 per cell]
Hg  0.250  0.250  0.750 [4 per cell]

E_tot: -22.839 eV/atom
theoretical density: 5.8 g cm⁻³
DOS(E_F): 16.09 states/eV/cell
DFT formation energy: 26 kJ/mol of atoms

***

Record 2
First-principles (SCAN) data for Ta2BiS at its PBEsol-relaxed geometry, as listed in Alexandria.

Unit cell a=6.592 b=6.592 c=6.592 alpha=90.00 beta=90.00 gamma=90.00
Space group Fm-3m (No. 225)
One atom of each set of equivalent atoms:
Ta  0.250  0.250  0.250 [8 per cell]
Bi  0.000  0.000  0.000 [4 per cell]
S  0.000  0.000  0.500 [4 per cell]

E_tot: -55.004 eV/atom
theoretical density: 14.0 g cm⁻³
DOS(E_F): 10.64 states/eV/cell
formation energy without anion corrections: 339 meV/atom
energy above the most stable polymorph in this dataset: 0 meV/atom

***

Record 3
First-principles (SCAN) data for EuICl at its PBEsol-relaxed geometry, as listed in Alexandria.

Unit cell a=8.022 b=4.572 c=9.259 alpha=90.00 beta=90.00 gamma=90.00
Space group Pnma (No. 62)
One atom of each set of equivalent atoms:
Eu  0.216  0.250  0.124 [4 per cell]
I  0.026  0.750  0.333 [4 per cell]
Cl  0.144  0.750  0.936 [4 per cell]

E_tot: -35.027 eV/atom
theoretical density: 6.1 g cm⁻³
formation energy without anion corrections: -2217 meV/atom

***

Record 4
First-principles (SCAN) data for ZrGeSbI2 at its PBEsol-relaxed geometry, as listed in Alexandria.

Unit cell a=5.478 b=5.478 c=5.735 alpha=90.00 beta=90.00 gamma=90.00
Space group P4/mmm (No. 123)
One atom of each set of equivalent atoms:
Zr  0.000  0.000  0.000 [1 per cell]
Ge  0.500  0.500  0.500 [1 per cell]
Sb  0.000  0.000  0.500 [1 per cell]
I  0.000  0.500  0.000 [2 per cell]

E_tot: -31.807 eV/atom
theoretical density: 5.2 g cm⁻³
DOS(E_F): 3.16 states/eV/cell
formation energy without anion corrections: 299 meV/atom
energy above the most stable polymorph in this dataset: 0 meV/atom

***

Record 5
First-principles (SCAN) data for In2RuBr at its PBEsol-relaxed geometry, as listed in Alexandria.

Unit cell a=4.228 b=4.228 c=8.735 alpha=90.00 beta=90.00 gamma=90.00
Space group I4/mmm (No. 139)
One atom of each set of equivalent atoms:
In  0.000  0.500  0.250 [4 per cell]
Ru  0.000  0.000  0.000 [2 per cell]
Br  0.000  0.000  0.500 [2 per cell]

E_tot: -29.668 eV/atom
theoretical density: 8.7 g cm⁻³
DOS(E_F): 4.21 states/eV/cell
+++

Thanks so very much for answering my question, I have another one, What does drinking apple cider vinegar do for you? I drank some today and I enjoy the taste very much as I've always loved the taste of vinegar. Is it supposed to help stop the gas that forms from the pressure of your stomach. I wake up every morning with gas pains that are very painful.


Hopefully some of the others will chime in here, C.W., as this is a subject requiring more time than I can spare at the moment. Yes, the organic cotton balls I find at my health food store are larger than average. The sea sponge you can read about at It is inserted like a tampon. Some women can wear them successfully and others find them scratchy and uncomfortable. :) Christine

I'm still waiting to hear why applecider vinegar is good to drink. What does it do?

Does it releave the gas that is always there, due to the stomach pressure.

Can anyone on this forum answer this question please?



Hi C.W.

There are many uses for apple cider vinegar.

The best way to find out its many uses is to google it

Welcome to the forum. I am from Canada too.


Hi Flora

Thank you very much for at least answering my question. I did google it and found many answers like you said there would be.

Where are you in Canada?


oh, i hadn't heard of that before! will ahve to try that...i still worry about cleaning the sponge, and tampons can get a bit irritating. love that idea! so soft...

Hi C.W.

I live in B.C. about 20 miles from Vancouver.

I find google very handy for getting information.


Hello again

Have you purchased the whole woman package? I'd be interested to know what you think of the dvd.

Thanks for getting back to me
